**Material:**
┌──
First-principles (PBE-GGA) data for SrB8O13 after structural relaxation, as listed in Materials Project.

Lattice parameters (Å, degrees): 16.850 8.498 14.058 73.57 90.00 90.00
Fractional positions:
Sr 0.501 0.489 0.280
Sr 0.999 0.489 0.780
Sr 0.743 0.904 0.958
Sr 0.499 0.511 0.720
Sr 0.001 0.511 0.220
Sr 0.757 0.904 0.458
Sr 0.257 0.096 0.042
Sr 0.243 0.096 0.542
B 0.901 0.570 0.525
B 0.345 0.225 0.315
B 0.215 0.733 0.270
B 0.465 0.071 0.386
B 0.845 0.775 0.185
B 0.913 0.050 0.554
B 0.316 0.612 0.384
B 0.525 0.058 0.844
B 0.851 0.170 0.260
B 0.285 0.296 0.751
B 0.149 0.830 0.740
B 0.588 0.754 0.145
B 0.330 0.390 0.137
B 0.875 0.340 0.465
B 0.965 0.929 0.114
B 0.892 0.548 0.971
B 0.153 0.723 0.024
B 0.715 0.267 0.230
B 0.446 0.154 0.603
B 0.351 0.830 0.240
B 0.587 0.050 0.054
B 0.475 0.942 0.156
B 0.670 0.610 0.863
B 0.684 0.388 0.616
B 0.215 0.296 0.251
B 0.891 0.132 0.849
B 0.625 0.340 0.965
B 0.412 0.246 0.855
B 0.599 0.570 0.025
B 0.785 0.267 0.730
B 0.946 0.846 0.897
B 0.912 0.754 0.645
B 0.155 0.225 0.815
B 0.535 0.929 0.614
B 0.391 0.868 0.651
B 0.088 0.246 0.355
B 0.816 0.388 0.116
B 0.830 0.610 0.363
B 0.285 0.733 0.770
B 0.035 0.071 0.886
B 0.608 0.548 0.471
B 0.609 0.132 0.349
B 0.401 0.430 0.975
B 0.347 0.723 0.524
B 0.025 0.942 0.656
B 0.715 0.704 0.249
B 0.975 0.058 0.344
B 0.170 0.390 0.637
B 0.554 0.846 0.397
B 0.785 0.704 0.749
B 0.054 0.154 0.103
B 0.109 0.868 0.151
B 0.375 0.660 0.035
B 0.649 0.170 0.760
B 0.847 0.277 0.976
B 0.099 0.430 0.475
B 0.413 0.950 0.946
B 0.392 0.452 0.529
B 0.655 0.775 0.685
B 0.087 0.950 0.446
B 0.184 0.612 0.884
B 0.108 0.452 0.029
B 0.125 0.660 0.535
B 0.653 0.277 0.476
O 0.440 0.322 0.578
O 0.604 0.414 0.434
O 0.104 0.586 0.066
O 0.885 0.950 0.859
O 0.584 0.408 0.029
O 0.356 0.332 0.052
O 0.479 0.904 0.412
O 0.514 0.075 0.093
O 0.851 0.547 0.056
O 0.622 0.310 0.694
O 0.525 0.181 0.356
O 0.698 0.275 0.556
O 0.302 0.725 0.444
O 0.735 0.773 0.667
O 0.623 0.899 0.076
O 0.602 0.040 0.815
O 0.235 0.227 0.833
O 0.940 0.678 0.922
O 0.877 0.899 0.576
O 0.242 0.593 0.336
O 0.627 0.170 0.985
O 0.511 0.793 0.185
O 0.014 0.925 0.407
O 0.742 0.407 0.164
O 0.863 0.242 0.756
O 0.377 0.101 0.924
O 0.873 0.170 0.485
O 0.122 0.690 0.806
O 0.378 0.690 0.306
O 0.898 0.040 0.315
O 0.856 0.668 0.448
O 0.254 0.335 0.657
O 0.842 0.151 0.933
O 0.663 0.432 0.883
O 0.351 0.453 0.444
O 0.373 0.830 0.015
O 0.115 0.050 0.141
O 0.758 0.407 0.664
O 0.416 0.592 0.971
O 0.112 0.124 0.893
O 0.396 0.586 0.566
O 0.163 0.568 0.617
O 0.364 0.315 0.766
O 0.754 0.665 0.843
O 0.431 0.379 0.898
O 0.896 0.414 0.934
O 0.025 0.819 0.144
O 0.230 0.859 0.724
O 0.989 0.793 0.685
O 0.979 0.096 0.088
O 0.385 0.050 0.641
O 0.975 0.181 0.856
O 0.337 0.568 0.117
O 0.120 0.313 0.729
O 0.388 0.124 0.393
O 0.011 0.207 0.315
O 0.127 0.830 0.515
O 0.612 0.876 0.607
O 0.363 0.758 0.744
O 0.888 0.876 0.107
O 0.730 0.141 0.776
O 0.658 0.151 0.433
O 0.342 0.849 0.567
O 0.084 0.592 0.471
O 0.270 0.859 0.224
O 0.149 0.453 0.944
O 0.878 0.310 0.194
O 0.644 0.668 0.948
O 0.837 0.432 0.383
O 0.123 0.101 0.424
O 0.637 0.242 0.256
O 0.986 0.075 0.593
O 0.636 0.685 0.234
O 0.136 0.315 0.266
O 0.265 0.227 0.333
O 0.489 0.207 0.815
O 0.380 0.313 0.229
└──
**Work order:**
The reader should write out the rows earlier on from the first line to the one with "0.985" with every line break kept.
**Here it is:**
First-principles (PBE-GGA) data for SrB8O13 after structural relaxation, as listed in Materials Project.

Lattice parameters (Å, degrees): 16.850 8.498 14.058 73.57 90.00 90.00
Fractional positions:
Sr 0.501 0.489 0.280
Sr 0.999 0.489 0.780
Sr 0.743 0.904 0.958
Sr 0.499 0.511 0.720
Sr 0.001 0.511 0.220
Sr 0.757 0.904 0.458
Sr 0.257 0.096 0.042
Sr 0.243 0.096 0.542
B 0.901 0.570 0.525
B 0.345 0.225 0.315
B 0.215 0.733 0.270
B 0.465 0.071 0.386
B 0.845 0.775 0.185
B 0.913 0.050 0.554
B 0.316 0.612 0.384
B 0.525 0.058 0.844
B 0.851 0.170 0.260
B 0.285 0.296 0.751
B 0.149 0.830 0.740
B 0.588 0.754 0.145
B 0.330 0.390 0.137
B 0.875 0.340 0.465
B 0.965 0.929 0.114
B 0.892 0.548 0.971
B 0.153 0.723 0.024
B 0.715 0.267 0.230
B 0.446 0.154 0.603
B 0.351 0.830 0.240
B 0.587 0.050 0.054
B 0.475 0.942 0.156
B 0.670 0.610 0.863
B 0.684 0.388 0.616
B 0.215 0.296 0.251
B 0.891 0.132 0.849
B 0.625 0.340 0.965
B 0.412 0.246 0.855
B 0.599 0.570 0.025
B 0.785 0.267 0.730
B 0.946 0.846 0.897
B 0.912 0.754 0.645
B 0.155 0.225 0.815
B 0.535 0.929 0.614
B 0.391 0.868 0.651
B 0.088 0.246 0.355
B 0.816 0.388 0.116
B 0.830 0.610 0.363
B 0.285 0.733 0.770
B 0.035 0.071 0.886
B 0.608 0.548 0.471
B 0.609 0.132 0.349
B 0.401 0.430 0.975
B 0.347 0.723 0.524
B 0.025 0.942 0.656
B 0.715 0.704 0.249
B 0.975 0.058 0.344
B 0.170 0.390 0.637
B 0.554 0.846 0.397
B 0.785 0.704 0.749
B 0.054 0.154 0.103
B 0.109 0.868 0.151
B 0.375 0.660 0.035
B 0.649 0.170 0.760
B 0.847 0.277 0.976
B 0.099 0.430 0.475
B 0.413 0.950 0.946
B 0.392 0.452 0.529
B 0.655 0.775 0.685
B 0.087 0.950 0.446
B 0.184 0.612 0.884
B 0.108 0.452 0.029
B 0.125 0.660 0.535
B 0.653 0.277 0.476
O 0.440 0.322 0.578
O 0.604 0.414 0.434
O 0.104 0.586 0.066
O 0.885 0.950 0.859
O 0.584 0.408 0.029
O 0.356 0.332 0.052
O 0.479 0.904 0.412
O 0.514 0.075 0.093
O 0.851 0.547 0.056
O 0.622 0.310 0.694
O 0.525 0.181 0.356
O 0.698 0.275 0.556
O 0.302 0.725 0.444
O 0.735 0.773 0.667
O 0.623 0.899 0.076
O 0.602 0.040 0.815
O 0.235 0.227 0.833
O 0.940 0.678 0.922
O 0.877 0.899 0.576
O 0.242 0.593 0.336
O 0.627 0.170 0.985